The Seven Mansions
Each of the seven mansions represents an elevated place in the soul for self-examination and encounters with God. At each mansion you increase your understanding of your soul and gain a deeper capacity to experience and know God. Each mansion represents a stage of development and self-discovery in which you peel off layer upon layer as you go in room after room. Your task is to enter these rooms, clear out the debris, and discover hidden treasures and untapped inner gifts that are meant to recognize and develop as part of your soul. This is the essential work of the soul-journer.
The First Mansion
Humility, Chaos & Divine Seduction
## Next to the entry, the page also holds calculated crystals
# 1
Material: Li8MgGe2
Method: DFT, PBE-GGA
State: relaxed

Summary:
Theoretical density = 1.65 g cm⁻³
Calculated formation energy = -0.04 eV/atom

Cell: 7.033 7.033 4.665 Å, 97.79 97.79 85.44°
Sites, in units of the cell vectors:
1 Li 0.067 0.067 0.291
2 Li 0.092 0.607 0.343
3 Li 0.232 0.232 0.956
4 Li 0.393 0.908 0.657
5 Li 0.607 0.092 0.343
6 Li 0.768 0.768 0.044
7 Li 0.908 0.393 0.657
8 Li 0.933 0.933 0.709
9 Mg 0.500 0.500 0.000
10 Ge 0.318 0.318 0.498
11 Ge 0.682 0.682 0.502

=====

# 2
Material: Pm3Zn2Cd2
Method: DFT, PBE-GGA
State: relaxed

Summary:
Theoretical density = 7.41 g cm⁻³
Calculated formation energy = -0.25 eV/atom

Cell: 4.587 5.996 7.040 Å, 82.09 89.78 67.72°
Sites, in units of the cell vectors:
1 Pm 0.000 0.000 0.000
2 Pm 0.363 0.273 0.639
3 Pm 0.637 0.727 0.361
4 Zn 0.090 0.818 0.628
5 Zn 0.910 0.182 0.372
6 Cd 0.313 0.377 0.145
7 Cd 0.687 0.623 0.855

=====

# 3
Material: LaPuZnPb
Method: DFT, PBE-GGA
State: relaxed

Summary:
Theoretical density = 9.60 g cm⁻³
Calculated formation energy = -0.22 eV/atom

Cell: 5.433 5.433 5.433 Å, 60.00 60.00 60.00°
Sites, in units of the cell vectors:
1 La 0.000 0.000 0.000
2 Pu 0.500 0.500 0.500
3 Zn 0.750 0.750 0.750
4 Pb 0.250 0.250 0.250

=====

# 4
Material: NdY2I8
Method: DFT, PBE-GGA
State: relaxed

Summary:
Theoretical density = 3.55 g cm⁻³
E_form (uncorrected) = -1311 kJ/mol of formula units

Cell: 9.376 9.376 7.343 Å, 91.75 91.75 75.62°
Sites, in units of the cell vectors:
1 Nd 0.000 0.000 0.000
2 Y 0.188 0.188 0.647
3 Y 0.812 0.812 0.353
4 I 0.118 0.715 0.238
5 I 0.185 0.185 0.242
6 I 0.285 0.882 0.762
7 I 0.373 0.373 0.760
8 I 0.627 0.627 0.240
9 I 0.715 0.118 0.238
10 I 0.815 0.815 0.758
11 I 0.882 0.285 0.762

=====

| no. | Fermi-level density of states (states/eV/f.u.) | VASP energy (eV/cell) |
| --- | --- | --- |
| 1 | 3.03 | -26.63 |
| 2 | 5.93 | -20.37 |
| 3 | 10.21 | -25.14 |
| 4 | 0.29 | -43.68 |
The world is as seductive as it is frightening, and that is the paradox you will confront in the First Mansion. You will try to figure out a way to serve two masters and get away with it. That is, you will try to remain attached to the power dynamics of your physical life while attempting to jumpstart wondrous mystical experiences. You’ll soon discover that this won’t work, but it does lead you to realize that you have a relationship to the archetypal pattern of chaos. When a situation becomes unreasonable and uncontrollable, chaos erupts. You, too, can be unreasonable and uncontrollable, so, not only does chaos happen in your life, you also create chaos, sometimes inadvertently, sometimes deliberately. Ultimately you create chaos as a means of avoiding a confrontation with truth or divine guidance. These are some of the matters and spiritual directives that you will examine in the rooms of the First Mansion.
The Second Mansion
God is in the Details
In the Second Mansion, you aim to become more discerning about your thoughts, motivations, and personal companions. We all need to be more discriminating about whom we allow into the circles that influence our souls. Beyond your friendships and social interactions, you need to become aware of how your psyche and soul are changing, of their shifts in perceptions. As you become more awakened, you may become psychically hypersensitive and reactive to other people’s emotional energy, to highly charged negative atmospheres, to stresses in people around you, or even to the great tensions of the planet. Teresa warned her nuns that as they progressed in their Castles, they would become vulnerable in some ways to other people’s emotional, psychological, mental , and spiritual debris. You need to learn, as an emerging mystic, how to protect your energy field.
The Third Mansion
In the Third Mansion, it is essential that you come to understand how you perceive the nature of reality, because that reflects the content of your mind—your beliefs, perceptions, and prejudices. Teresa of Ávila lived long before the Age of Reason, so, in her time, the soul was immanent—constantly present and active within the individual body, community, and nature. The divine, too, was a constant companion that infiltrated the whole of life, whether you were in a conversation with a friend, in a public meeting place, or in a private thought and prayer. It was impossible to keep secrets from the active—though invisible—God in Teresa’s theology. The reality of God was everywhere.
The Fourth Mansion
The Mystical Heart
For Teresa, entering the Fourth Mansion represented crossing yet another bridge, but this time it is inside the Castle, where you enter what she called “the realm of the supernatural.” Finding words to convey adequately the experience of cosmic consciousness was frustrating for Teresa. Even today, with a sophisticated psychological and theological vocabulary, we still cannot convey the stratospheric ecstasies reported by mystics who have attained transcendence. Teresa, like most mystics, relied on the use of metaphors to communicate profound insights. To her, this state was as if a heavenly water began to flow from a deep inner spring, a source that has always been there.
The Fifth Mansion
Dissolving into Holiness
In a workshop, when I first brought up the Fifth Mansion and its challenge of dissolving in holiness, one student gave me a look and said, “I can”t imagine what that means, but I’m completely seduced by the notion of dissolving into divine light. When I visualize what it could be, I feel as if I’m releasing burdens and old rubbish and floating in divine fluffy clouds. Sometimes I envy those saints because I think, What is it that you experienced? Who and what is that God that so captured you? I mean, they were in love beyond love.” This man’s face had just touched the power of this mystical experience.
The Sixth Mansion
Eternal Wisdom and Final Fire
Although the Sixth Mansion is but one away from the Seventh, where divine marriage is discussed, the mystical sojourner is still like an initiate: so close to God and yet so far. Revealing so many secrets of the soul draws evil as well as light, for light always attracts the dark. Final tests and obstacles arise in this mansion, as if you are going into the desert for forty days—a final walk of fire, a last cleansing. Simultaneously, the interior life and insights are heightened further, as if God is stretching your consciousness to its full capacity. You must contain your humanness and divinity, shadow and light, all consciously. Your soul may be flooded with realizations from the collective unconsciousness or divine illumination, which can cause agony and ecstasy. Your challenge is to find the stamina to maintain your human and heavenly connections with prayer.
The Seventh Mansion
Divine Marriage, Healing and Reentering the World
In the Seventh Mansion, your soul sheds its earthly skin and becomes completely absorbed by the presence of God. The essence of mystical marriage, for Teresa, was two streams of light coming into a room from two windows, forming one bright river in which the boundaries distinguishing the two vanish. It was also like rain falling into a pool of water, leaving no trace of the individual raindrops in the water. Still, for all her exquisite attempts to lift us into her mystical world, we can only observe her experience and try to follow. For the nature of mystical experience is an intimacy between only the mystic and the divine. Ultimately, as you might discover through your mystical experience, you cannot communicate in words the sensation of the divine entering the walls of your soul any more than you could sell acreage in paradise.